My second flight as a licenced pilot took me to Stanhope/Haliburton airport (CND4) with a friend who has a cottage up there.

Departing Runway 15
We departed Buttonville at about 8:45 and headed up the 404 to Newmarket (my set heading point) direct to Haliburton. The weather was great, light winds and great visibility.
The flight up was uneventful and we enjoyed the smooth ride. The winds at CND4 were coming out of the south/south west according to the Unicom guy so I planned for runway 27.
This is where things got interesting. As I was on the downwind, I heard on the radio that a plane was backtracking down the runway for takeoff on 27. As I was on final, he lined up to take off. I was preparing to overshoot when on short final he saw me and decided to haul ass into the holding bay. As I was rolling down the runway after one of the worst landings ever, he apologized and explained that he had his radio volume turned down.

Just after arriving at CND4
We parked the plane and headed to my friends cottage for breakfast. His mom made some tasty eggs and back bacon. We chatted about the flight and the airport before heading out on to the water.
We went for a spin in a 115hp motor boat when:
*engine sputters and dies*
Friend: “uhmm.. this is not good, because I’m not doing that!”
Turns out we ran out of gas on the middle of Maple Lake. We needed to head back to the airport in about 20 minutes in order to head back to Buttonville. We fired up the 10hp trawling engine and putt-putted back to the cottage.
The ride back was bumpier, even at 4500′, mainly due to daytime heating as the winds were still on the calm side. We got back just before 1pm.
All in all, it was a great way to spend a summer Sunday morning.
You can see more photos in the gallery.
Unfortunately I’ve experienced similar stupidity at uncontrolled airports.
It seems that the nature of sleepy uncontrolled airports breeds pilots who no longer feel the need to follow the most basic of rules thereby putting others at risk.
This actually taught me a lesson. Because I’ve made the same mistake before, except it was at Buttonville while trying to call up ground.
Doing a radio check with unicom (if possible) is a good idea before heading out.
Sadly there are more “I don’t need to bother” situations at uncontrolled airports then there are genuine mistakes.
On more then a few occasions I’ve seen foolishness at uncontrolled airports (People taxing with no radio calls, making the calls they do actually make improperly/incomplete, joining/exiting the circuit in a variety of unsafe methods, etc) and in more then a few of there’s lax safety happening more-so then mistakes.
There’s plenty of excellent pilots that fly out of uncontrolled airports, but there’s also frequently a few cowboys who think that just because there’s nobody watching them they don’t need to follow the rules.
These are the often the same people who are scared of controlled airspace, or when they do wander into a controlled airport make everyone ask “How did this guy get his pilots license?” while he/she bumbles through what should be basic procedure.
I hate to be negative, but with few exceptions, every unsafe, dangerous, or in my case, a few downright scary moments have happened at uncontrolled airports, courtesy of others who haven’t been following the basic rules of airmanship. That speaks volumes in my mind.
I know exactly how you feel. I’ve heard these “cowboys” on the radio in Buttonville’s CZ and have thought the same thing.
In this particular situation, the pilot was making all the right calls, he just wasn’t hearing any of mine.
## Records of crystals from another source follow
____________
Entry 1:
# NaCO3, relaxed, DFT meta-GGA r2SCAN
# ΔH_f (0 K) ... -1437 meV per atom
# Electronic total energy ... -7.7228 eV/atom
data_NaCO3
_cell_length_a 3.461
_cell_length_b 9.152
_cell_length_c 8.213
_cell_angle_alpha 90.00
_cell_angle_beta 108.11
_cell_angle_gamma 90.00
_symmetry_space_group_name_H-M 'P 1 21/c 1'
_symmetry_Int_Tables_number 14
loop_
_symmetry_equiv_pos_as_xyz
'x,y,z'
'-x,-y,-z'
'-x,y+1/2,-z+1/2'
'x,-y+1/2,z+1/2'
loop_
_atom_site_label
_atom_site_fract_x
_atom_site_fract_y
_atom_site_fract_z
_atom_site_occupancy
Na1 0.077 0.001 0.300 1
C1 0.304 0.227 0.060 1
O1 0.074 0.158 0.931 1
O2 0.324 0.135 0.564 1
O3 0.499 0.144 0.183 1

Entry 2:
# NaCO3, relaxed, DFT meta-GGA r2SCAN
# ΔH_f (0 K) ... -1439 meV per atom
# Electronic total energy ... -7.7246 eV/atom
data_NaCO3
_cell_length_a 5.0452
_cell_length_b 5.0452
_cell_length_c 16.8474
_cell_angle_alpha 90.00
_cell_angle_beta 90.00
_cell_angle_gamma 120.00
_symmetry_space_group_name_H-M 'R -3 c'
_symmetry_Int_Tables_number 167
_symmetry_space_group_name_Hall '-R 3 2"c'
loop_
_atom_site_label
_atom_site_fract_x
_atom_site_fract_y
_atom_site_fract_z
_atom_site_occupancy
Na1 0.0000 0.0000 0.0000 1
C1 0.0000 0.0000 0.2500 1
O1 0.0000 0.2520 0.2500 1

Entry 3:
# Na2ScPCO7, relaxed, DFT meta-GGA r2SCAN
# ΔH_f (0 K) ... -2528 meV per atom
# Electronic total energy ... -9.1350 eV/atom
data_Na2ScPCO7
_cell_length_a 5.189
_cell_length_b 6.671
_cell_length_c 9.002
_cell_angle_alpha 90.00
_cell_angle_beta 90.03
_cell_angle_gamma 90.00
_symmetry_space_group_name_H-M 'P 1 21/m 1'
_symmetry_Int_Tables_number 11
loop_
_symmetry_equiv_pos_as_xyz
'x,y,z'
'-x,-y,-z'
'-x,y+1/2,-z'
'x,-y+1/2,z'
loop_
_atom_site_label
_atom_site_fract_x
_atom_site_fract_y
_atom_site_fract_z
_atom_site_occupancy
Na1 0.239 0.004 0.279 1
Sc1 0.212 0.250 0.861 1
____________
This is a situation where I think learning to fly in a controlled airpsace helps. You are *forced* to follow procedure. As with uncontrolled airports there is nobody around to slap you on the wrist if you do something wrong.